# Wanted
Your job: write out only the last part of the calculation results further below, starting with the line that has "Ga3IBr3 was".

# Source
1.
Starting from a crystal structure in Alexandria, relaxed with PBE, the XRD peak list of Sr2GaGe3Au4 was computed for Cu Kα (λ = 1.5418 Å).

Crystal structure
Lattice parameters (Å, degrees): 4.493 4.493 10.980 90.00 90.00 90.00
Atoms (fractional coordinates):
1 Sr 0.000 0.500 0.245
2 Sr 0.500 0.000 0.755
3 Ga 0.000 0.000 0.500
4 Ge 0.000 0.500 0.868
5 Ge 0.500 0.000 0.132
6 Ge 0.500 0.500 0.500
7 Au 0.000 0.000 0.000
8 Au 0.000 0.500 0.632
9 Au 0.500 0.000 0.368
10 Au 0.500 0.500 0.000

Peak list (8 most intense, 10 to 90 degrees two-theta, by angle)
29.27°, I = 356
31.53°, I = 463
32.57°, I = 1000
40.14°, I = 757
43.57°, I = 696
45.98°, I = 327
58.07°, I = 257
75.32°, I = 250

---

2.
Starting from a crystal structure in Alexandria, relaxed with PBE, the XRD peak list of TbMn4B4 was computed for Cu Kα (λ = 1.5418 Å).

Crystal structure
Lattice parameters (Å, degrees): 7.035 7.035 3.923 90.00 90.00 90.00
Atoms (fractional coordinates):
1 Tb 0.250 0.250 0.250
2 Tb 0.750 0.750 0.750
3 Mn 0.121 0.633 0.132
4 Mn 0.133 0.879 0.632
5 Mn 0.367 0.621 0.632
6 Mn 0.379 0.867 0.132
7 Mn 0.621 0.133 0.868
8 Mn 0.633 0.379 0.368
9 Mn 0.867 0.121 0.368
10 Mn 0.879 0.367 0.868
11 B 0.057 0.921 0.136
12 B 0.079 0.557 0.636
13 B 0.421 0.943 0.636
14 B 0.443 0.579 0.136
15 B 0.557 0.421 0.864
16 B 0.579 0.057 0.364
17 B 0.921 0.443 0.364
18 B 0.943 0.079 0.864

Peak list (8 most intense, 10 to 90 degrees two-theta, by angle)
25.32°, I = 330
26.00°, I = 738
36.11°, I = 197
36.61°, I = 1000
40.55°, I = 763
52.37°, I = 339
59.03°, I = 173
71.19°, I = 174

---

3.
Starting from a crystal structure in Alexandria, relaxed with PBE, the XRD peak list of Ga3IBr3 was computed for Cu Kα (λ = 1.5418 Å).

Crystal structure
Lattice parameters (Å, degrees): 7.659 7.708 9.489 95.72 97.42 97.64
Atoms (fractional coordinates):
1 Ga 0.095 0.029 0.235
2 Ga 0.228 0.946 0.702
3 Ga 0.298 0.445 0.968
4 Ga 0.702 0.555 0.032
5 Ga 0.772 0.054 0.298
6 Ga 0.905 0.971 0.765
7 I 0.448 0.176 0.205
8 I 0.552 0.824 0.795
9 Br 0.042 0.758 0.037
10 Br 0.191 0.828 0.439
11 Br 0.347 0.269 0.708
12 Br 0.653 0.731 0.292
13 Br 0.809 0.172 0.561
14 Br 0.958 0.242 0.963

Peak list (8 most intense, 10 to 90 degrees two-theta, by angle)
11.67°, I = 1000
17.87°, I = 396
23.52°, I = 734
24.24°, I = 553
24.74°, I = 491
28.02°, I = 669
30.65°, I = 524
38.38°, I = 429

---

4.
Starting from a crystal structure in Alexandria, relaxed with PBE, the XRD peak list of K2AcDyS4 was computed for Cu Kα (λ = 1.5418 Å).

Crystal structure
Lattice parameters (Å, degrees): 7.362 4.242 7.797 90.00 108.25 90.00
Atoms (fractional coordinates):
1 K 0.000 0.000 0.000
2 K 0.500 0.500 0.000
3 Ac 0.000 0.500 0.500
4 Dy 0.500 0.000 0.500
5 S 0.256 0.000 0.711
6 S 0.281 0.500 0.297
7 S 0.719 0.500 0.703
8 S 0.744 0.000 0.289

Peak list (8 most intense, 10 to 90 degrees two-theta, by angle)
11.95°, I = 822
24.54°, I = 351
25.52°, I = 431
29.13°, I = 1000
37.43°, I = 210
40.72°, I = 361
42.56°, I = 234
44.39°, I = 209

---

5.
Starting from a crystal structure in Alexandria, relaxed with PBE, the XRD peak list of Tc5Os was computed for Cu Kα (λ = 1.5418 Å).

Crystal structure
Lattice parameters (Å, degrees): 5.106 5.106 5.106 130.00 115.44 85.85
Atoms (fractional coordinates):
1 Tc 0.000 0.000 0.000
2 Tc 0.083 0.334 0.749
3 Tc 0.416 0.666 0.749
4 Tc 0.584 0.334 0.251
5 Tc 0.917 0.666 0.251
6 Os 0.500 0.000 0.500

Peak list (8 most intense, 10 to 90 degrees two-theta, by angle)
23.80°, I = 60
40.97°, I = 1000
41.86°, I = 937
60.01°, I = 322
68.87°, I = 70
75.84°, I = 320
76.45°, I = 103
83.96°, I = 244

---

6.
Starting from a crystal structure in Alexandria, relaxed with PBE, the XRD peak list of CeSm12Er7 was computed for Cu Kα (λ = 1.5418 Å).

Crystal structure
Lattice parameters (Å, degrees): 11.453 11.453 11.453 116.91 116.91 116.91
Atoms (fractional coordinates):
1 Ce 0.000 0.000 0.000
2 Sm 0.068 0.423 0.423
3 Sm 0.086 0.913 0.499
4 Sm 0.087 0.501 0.914
5 Sm 0.423 0.068 0.423
6 Sm 0.423 0.423 0.068

# Solution
Starting from a crystal structure in Alexandria, relaxed with PBE, the XRD peak list of Ga3IBr3 was computed for Cu Kα (λ = 1.5418 Å).

Crystal structure
Lattice parameters (Å, degrees): 7.659 7.708 9.489 95.72 97.42 97.64
Atoms (fractional coordinates):
1 Ga 0.095 0.029 0.235
2 Ga 0.228 0.946 0.702
3 Ga 0.298 0.445 0.968
4 Ga 0.702 0.555 0.032
5 Ga 0.772 0.054 0.298
6 Ga 0.905 0.971 0.765
7 I 0.448 0.176 0.205
8 I 0.552 0.824 0.795
9 Br 0.042 0.758 0.037
10 Br 0.191 0.828 0.439
11 Br 0.347 0.269 0.708
12 Br 0.653 0.731 0.292
13 Br 0.809 0.172 0.561
14 Br 0.958 0.242 0.963

Peak list (8 most intense, 10 to 90 degrees two-theta, by angle)
11.67°, I = 1000
17.87°, I = 396
23.52°, I = 734
24.24°, I = 553
24.74°, I = 491
28.02°, I = 669
30.65°, I = 524
38.38°, I = 429

---

4.
Starting from a crystal structure in Alexandria, relaxed with PBE, the XRD peak list of K2AcDyS4 was computed for Cu Kα (λ = 1.5418 Å).

Crystal structure
Lattice parameters (Å, degrees): 7.362 4.242 7.797 90.00 108.25 90.00
Atoms (fractional coordinates):
1 K 0.000 0.000 0.000
2 K 0.500 0.500 0.000
3 Ac 0.000 0.500 0.500
4 Dy 0.500 0.000 0.500
5 S 0.256 0.000 0.711
6 S 0.281 0.500 0.297
7 S 0.719 0.500 0.703
8 S 0.744 0.000 0.289

Peak list (8 most intense, 10 to 90 degrees two-theta, by angle)
11.95°, I = 822
24.54°, I = 351
25.52°, I = 431
29.13°, I = 1000
37.43°, I = 210
40.72°, I = 361
42.56°, I = 234
44.39°, I = 209

---

5.
Starting from a crystal structure in Alexandria, relaxed with PBE, the XRD peak list of Tc5Os was computed for Cu Kα (λ = 1.5418 Å).

Crystal structure
Lattice parameters (Å, degrees): 5.106 5.106 5.106 130.00 115.44 85.85
Atoms (fractional coordinates):
1 Tc 0.000 0.000 0.000
2 Tc 0.083 0.334 0.749
3 Tc 0.416 0.666 0.749
4 Tc 0.584 0.334 0.251
5 Tc 0.917 0.666 0.251
6 Os 0.500 0.000 0.500

Peak list (8 most intense, 10 to 90 degrees two-theta, by angle)
23.80°, I = 60
40.97°, I = 1000
41.86°, I = 937
60.01°, I = 322
68.87°, I = 70
75.84°, I = 320
76.45°, I = 103
83.96°, I = 244

---

6.
Starting from a crystal structure in Alexandria, relaxed with PBE, the XRD peak list of CeSm12Er7 was computed for Cu Kα (λ = 1.5418 Å).

Crystal structure
Lattice parameters (Å, degrees): 11.453 11.453 11.453 116.91 116.91 116.91
Atoms (fractional coordinates):
1 Ce 0.000 0.000 0.000
2 Sm 0.068 0.423 0.423
3 Sm 0.086 0.913 0.499
4 Sm 0.087 0.501 0.914
5 Sm 0.423 0.068 0.423
6 Sm 0.423 0.423 0.068